Jesse’s parents, Amy and Gavin, have been foster carers for Foster Wales Torfaen since 2005. Jesse was born into this fostering household and his parents are currently approved to offer placements to three children. Throughout their time as foster carers, Amy and Gavin have provided foster placements for 15 children and young people, as well as emergency placements for 3 children. Alongside this they have provided respite for 13 children and supported lodgings placements for 2 young people.
We talked to Jesse about being a child of foster carers and asked when he first realised that his parents were foster carers. He told us that he was five when his parents spoke to him about a child moving in with them and asked him if he was okay with this. “It made me feel nice that we help people. It was when I was 11 that my parents told me that a young person who I had always thought was my actual sister, was fostered. Family is more about love than blood and she will always be my sister.”
What it is like when a child or young person joins your family? “Sometimes, it’s a bit nerve wracking having new people coming into the house and because I am an introvert, I find it a bit unnerving but it gets better after a few days. Sometimes it can be loud but it is never boring here and there is always someone to talk to. Sometimes, they come to the gym with me and one young person who is a good cook, talks to me a lot about nutrition.”
/*
Li2CrAsO6 | PBE with a Hubbard U | optimized geometry

Lattice parameters (Å, degrees): 4.994 4.994 4.812 90.00 90.00 90.00
Space group P4mm (No. 99)
One atom of each set of equivalent atoms:
Li: 0.000 0.500 0.000 x2
Cr: 0.000 0.000 0.665 x1
As: 0.500 0.500 0.664 x1
O: 0.000 0.000 0.333 x1
O: 0.253 0.253 0.798 x4
O: 0.500 0.500 0.315 x1

Values from the calculation:
- Raw total energy: -5.97 eV/atom


Record 1
# ReAsCl2 PBE optimized geometry
data_ReAsCl2
_space_group_name_H-M_alt 'R 3 m'
_space_group_IT_number 160
_space_group_name_Hall 'R 3 -2"'
_cell_length_a 3.2735
_cell_length_b 3.2735
_cell_length_c 26.1916
_cell_angle_alpha 90.00
_cell_angle_beta 90.00
_cell_angle_gamma 120.00
loop_
_atom_site_label
_atom_site_type_symbol
_atom_site_fract_x
_atom_site_fract_y
_atom_site_fract_z
_atom_site_occupancy
Re1 Re 0.0000 0.0000 0.0000 1
As1 As 0.0000 0.0000 0.7286 1
Cl1 Cl 0.0000 0.0000 0.2655 1
Cl2 Cl 0.0000 0.0000 0.4691 1
# Excess energy over the best structure of this formula in the dataset (kJ/mol of formula units): 79
# ΔE_f (raw) (eV per atom): 0.116



Record 2
# ReAsCl2 PBE optimized geometry
data_ReAsCl2
_space_group_name_H-M_alt 'P 4/m m m'
_space_group_IT_number 123
_space_group_name_Hall '-P 4 2'
_cell_length_a 2.9550
_cell_length_b 2.9550
_cell_length_c 9.4382
_cell_angle_alpha 90.00
_cell_angle_beta 90.00
_cell_angle_gamma 90.00
loop_
_atom_site_label
_atom_site_type_symbol
_atom_site_fract_x
_atom_site_fract_y
_atom_site_fract_z
_atom_site_occupancy
Re1 Re 0.0000 0.0000 0.0000 1
As1 As 0.0000 0.0000 0.5000 1
Cl1 Cl 0.5000 0.5000 0.1591 1
# Excess energy over the best structure of this formula in the dataset (kJ/mol of formula units): 355
# ΔE_f (raw) (eV per atom): 0.831



Record 3
# Re2AsCl PBE optimized geometry
data_Re2AsCl
_space_group_name_H-M_alt 'C 1 2/m 1'
_space_group_IT_number 12
_space_group_name_Hall '-C 2y'
_cell_length_a 5.7734
_cell_length_b 8.6723
_cell_length_c 2.7047
_cell_angle_alpha 90.00
_cell_angle_beta 105.92
_cell_angle_gamma 90.00
loop_
_atom_site_label
_atom_site_type_symbol
_atom_site_fract_x
_atom_site_fract_y
_atom_site_fract_z
_atom_site_occupancy
Re1 Re 0.2500 0.2500 0.0000 1
As1 As 0.0000 0.0000 0.0000 1
Cl1 Cl 0.0000 0.5000 0.0000 1
# Excess energy over the best structure of this formula in the dataset (kJ/mol of formula units): 389
# ΔE_f (raw) (eV per atom): 1.008



Number 3 is which compound?
Re2AsCl


(1)
TlCuIr2: optimized geometry, GGA-PBE.

Unit cell a=2.8546 b=4.5746 c=4.9712 alpha=90.00 beta=92.21 gamma=90.00
Last column: nearest neighbours and their distance in Å.
Space group P2/m (No. 10)
Symmetry-distinct sites (fractional):
Tl  0.0000  0.0000  0.0000  4 Ir 2.79, 4 Cu 2.82-2.91, 2 Tl 2.85
Cu  0.5000  0.0000  0.5000  4 Ir 2.64, 4 Tl 2.82-2.91, 2 Cu 2.85
Ir  0.2653  0.5000  0.7241  2 Cu 2.64, 4 Ir 2.64-2.85, 2 Tl 2.79

- calculated total energy (eV per atom) = -5.62
- polymorph energy (0 for the lowest one) (meV per atom) = 65.4
- formation enthalpy at 0 K (eV per atom) = 0.427

***

(2)
*/
What are the positives of being a child of foster carers? “Being part of a fostering family has helped me with my confidence and public speaking. I am able to get along with everyone and accept everyone for who they are and not for their background or life experiences.”
********
Here is an optimized crystal structure of BaBF2 from the Alexandria database. Energies are from PBE-GGA.

Calculated values
Symmetry ... I-42d
Formation energy without anion corrections ... -1215 meV per atom
Spin magnetization ... 1.0 μB/f.u.
Total DFT energy (no corrections) ... -17.203 eV/f.u.
Distance to the lowest polymorph of the same formula ... 206 meV/atom
N(E_F) ... 0.366 states/eV per atom

abc: 4.667 4.667 8.410
angles: 73.89 73.89 90.00
Fractional coordinates of all 8 atoms:
B (0.500, 0.500, 0.000)
B (0.250, 0.750, 0.500)
Ba (0.000, 0.000, 0.000)
Ba (0.750, 0.250, 0.500)
F (0.608, 0.125, 0.250)
********
End of the calculated crystals:
Have there been any difficulties or challenges? “There have been some difficult times when we have had things stolen, when young people have taken drugs and I have heard about awful things that people have gone through. This has made me mature faster and has made me more empathic towards others. I am more aware of drugs, abuse and exploitation than other people of my age and my mum has always worried about me seeing and hearing too much but I feel that it has helped because I have been educated on it and seen firsthand the negatives. I sometimes worry about my younger sister as I always want her to be safe.”
Jesse is 15 and is a very mature young man who feels that he has benefitted from being part of a fostering household, even though there have been some tough times. He shared that he used to feel a little anxious meeting new children and young people but, as he has become older, it is more excitement about meeting them than anxiety. He admits that it has been hard when some of the children or young people have left and he has been very sad to see some of them leave but there is still the opportunity to remain in contact with them. “There were some young people who were difficult to get on with but I knew that they needed my parents more than I did at the time, so I never said anything about them.”
Jesse’s advice for children of foster carers or children of people considering fostering is, “Take your time to get to know people. Give them your time. Be aware of your words because you never know what someone has been through and don’t talk about foster children to others as they deserve their confidentiality.”
How has being part of a fostering family impacted you? “Being part of a fostering family has changed how I judge and view others. I think about and get to know people on a deeper level and I accept people. I know that behaviour is an outward act of how someone may be feeling.
Do you feel supported in your role? “I never feel unsupported because I am always included in every decision by my parents, although I think there should be services available for children of foster carers to access if needed.”
What do you see in your future? Fostering has made me want to join a worthwhile profession when I am older. I want to be a detective and I will possibly foster and adopt too.
If you would like to know more about fostering, whether you have children or not, why not get in touch with Foster Wales Torfaen today? We can answer all of your questions related to fostering, provide you with further information and work out what type of fostering could be a good match for you and your family.
[Unrelated to this entry: crystal structures]
# 1
! NaHgMo2Pd | Alexandria via LeMat-Bulk | GGA-PBE | optimized geometry; values from VASP
! - E_form: 2.258 eV/atom
! - Symmetry: P4/mmm (123)
! - Crystal system: tetragonal
&SYSTEM
  ibrav = 0, nat = 5, ntyp = 4
/
ATOMIC_SPECIES
Na 22.99 Na.upf
Hg 200.59 Hg.upf
Mo 95.94 Mo.upf
Pd 106.42 Pd.upf
CELL_PARAMETERS angstrom
4.572 0.000 0.000
0.000 4.572 0.000
0.000 0.000 4.733
ATOMIC_POSITIONS crystal
Na 0.000 0.000 0.000
Hg 0.000 0.000 0.500
Mo 0.000 0.500 0.000
Mo 0.500 0.000 0.000
Pd 0.500 0.500 0.500


# 2
! NaHgMo2Pt | Alexandria via LeMat-Bulk | GGA-PBE | optimized geometry; values from VASP
! - E_form: 1.270 eV/atom
! - Symmetry: P4/mmm (123)
! - Crystal system: tetragonal
&SYSTEM
  ibrav = 0, nat = 5, ntyp = 4
/
ATOMIC_SPECIES
Na 22.99 Na.upf
Hg 200.59 Hg.upf
Mo 95.94 Mo.upf
Pt 195.08 Pt.upf
CELL_PARAMETERS angstrom
4.946 0.000 0.000
0.000 4.946 0.000
0.000 0.000 5.287
ATOMIC_POSITIONS crystal
Na 0.000 0.000 0.000
Hg 0.500 0.500 0.000
Mo 0.000 0.500 0.500
Mo 0.500 0.000 0.500
Pt 0.500 0.500 0.500


# 3
! NaHg2MoS | Alexandria via LeMat-Bulk | GGA-PBE | optimized geometry; values from VASP
! - Formation energy from raw total energies: 1.300 eV/atom
! - Symmetry: P4/mmm (123)
! - Crystal system: tetragonal
&SYSTEM
  ibrav = 0, nat = 5, ntyp = 4
/
ATOMIC_SPECIES
Na 22.99 Na.upf
Hg 200.59 Hg.upf
Mo 95.94 Mo.upf
S 32.06 S.upf
CELL_PARAMETERS angstrom
5.114 0.000 0.000
0.000 5.114 0.000
0.000 0.000 5.896
ATOMIC_POSITIONS crystal
Na 0.000 0.000 0.000
Hg 0.000 0.500 0.000
Hg 0.500 0.000 0.000
Mo 0.000 0.000 0.500
S 0.500 0.500 0.500


# 4
! Na2SnHgMo | Alexandria via LeMat-Bulk | GGA-PBE | optimized geometry; values from VASP
! - E_form: 0.889 eV/atom
! - Symmetry: P4/mmm (123)
! - Crystal system: tetragonal
&SYSTEM
  ibrav = 0, nat = 5, ntyp = 4
/
ATOMIC_SPECIES
Na 22.99 Na.upf
Sn 118.71 Sn.upf
Hg 200.59 Hg.upf
Mo 95.94 Mo.upf
CELL_PARAMETERS angstrom
5.239 0.000 0.000
0.000 5.239 0.000
0.000 0.000 5.394
ATOMIC_POSITIONS crystal
Na 0.000 0.500 0.000
Na 0.500 0.000 0.000
Sn 0.000 0.000 0.500
Hg 0.500 0.500 0.000
Mo 0.500 0.500 0.500


| no. | total magnetization (μB/f.u.) |
| --- | --- |
| 1 | 0.00 |
| 2 | 4.18 |
| 3 | 4.62 |
| 4 | 2.92 |

~~~~~

Entry from the Alexandria database: HoMg3Tl2F12 after structural relaxation (PBE).

Structure (POSCAR):
```
HoMg3Tl2F12
1.0
3.716 2.146 5.117
-3.716 2.146 5.117
0.000 -4.291 5.117
Ho Mg Tl F
1 3 2 12
Direct
0.000 0.000 0.000 Ho
0.000 0.000 0.500 Mg
0.000 0.500 0.000 Mg
0.500 0.000 0.000 Mg
0.394 0.394 0.394 Tl
0.606 0.606 0.606 Tl
0.102 0.749 0.749 F
0.150 0.150 0.586 F
0.150 0.586 0.150 F
0.251 0.251 0.898 F
0.251 0.898 0.251 F
0.414 0.850 0.850 F
0.586 0.150 0.150 F
0.749 0.102 0.749 F
0.749 0.749 0.102 F
0.850 0.414 0.850 F
0.850 0.850 0.414 F
0.898 0.251 0.251 F
```

Values from the calculation:
Space group   R-3m, No. 166
E_form (uncorrected)   -3.08 eV/atom
Magnetization   0.502 μB per formula unit
V   245 Å³/cell

~~~~~

Entry 1:
VASP calculation (SCAN) on a PBEsol-optimized structure of Cu2SnHgO.
Email: fosterwalestorfaen@torfaen.gov.uk
Tel: 01495 766669
Choosing Foster Wales Torfaen, is a decision to help children stay local and maintain important bonds. As a local team, we put children at the heart of everything we do.